[Job]
Find the line below that holds "0.8262", then reproduce that line and all lines after it there.
[File]
# PBE ThCu2AgCl8, optimized geometry
data_ThCu2AgCl8
_chemical_formula_sum 'Th1 Cu2 Ag1 Cl8'
_cell_length_a 6.6956
_cell_length_b 6.8705
_cell_length_c 8.0019
_cell_angle_alpha 74.11
_cell_angle_beta 89.51
_cell_angle_gamma 79.96
_symmetry_space_group_name_H-M 'P 1'
_symmetry_Int_Tables_number 1
loop_
_symmetry_equiv_pos_as_xyz
'x,y,z'
loop_
_atom_site_label
_atom_site_fract_x
_atom_site_fract_y
_atom_site_fract_z
_atom_site_occupancy
Th1 0.0000 0.0000 0.0000 1
Cu1 0.4704 0.3865 0.6818 1
Cu2 0.5296 0.6135 0.3182 1
Ag1 0.0000 0.0000 0.5000 1
Cl1 0.1172 0.2062 0.2126 1
Cl2 0.1477 0.2529 0.7247 1
Cl3 0.3669 0.7447 0.0512 1
Cl4 0.3775 0.7213 0.5401 1
Cl5 0.6225 0.2787 0.4599 1
Cl6 0.6331 0.2553 0.9488 1
Cl7 0.8523 0.7471 0.2753 1
Cl8 0.8828 0.7938 0.7874 1
# - Total magnetization: 1.06 μB/f.u.
# - Uncorrected formation energy: -1.1618 eV per atom

~~~~~

This record from the Alexandria database describes a relaxed CoReIr crystal. The functional is PBE.

The calculated formation energy comes out at -0.02 eV/atom. The energy above the most stable polymorph in this dataset is 66.2 meV/atom. Its total DFT energy (no corrections) is -9.494 eV/atom.

The structure belongs to space group I4mm (No. 107); the cell edges are 2.698, 2.698 and 11.035 Å and the angles 90.00°, 90.00° and 90.00°. Symmetry generates all atoms from Co at (0.000, 0.000, 0.000), Re at (0.000, 0.000, 0.656) and Ir at (0.000, 0.000, 0.330).

~~~~~

Entry from Alexandria: a PBEsol-optimized structure of KTbP4O12 (SCAN).

a = 7.2536 Å, b = 8.3145 Å, c = 7.8789 Å
α = 90.00°, β = 91.58°, γ = 90.00°
Sites, in units of the cell vectors:
K1 0.2331 0.0000 0.2810
K2 0.7669 0.5000 0.7190
Tb1 0.2623 0.3172 0.7567
Tb2 0.7377 0.8172 0.2433
P1 0.0643 0.9429 0.9064
P2 0.1146 0.5688 0.4002
P3 0.4021 0.7339 0.9023
P4 0.4977 0.4690 0.3817
P5 0.5023 0.9690 0.6183
P6 0.5979 0.2339 0.0977
P7 0.8854 0.0688 0.5998
P8 0.9357 0.4429 0.0936
O1 0.0240 0.7245 0.3528
O2 0.0367 0.4278 0.2773
O3 0.0728 0.4149 0.9582
O4 0.1097 0.5108 0.5793
O5 0.1809 0.0904 0.9273
O6 0.1894 0.7848 0.8924
O7 0.3237 0.5826 0.3416
O8 0.3328 0.0720 0.6145
O9 0.4126 0.5698 0.8262
O10 0.4650 0.3691 0.5363
O11 0.4781 0.7635 0.0782
O12 0.4901 0.3581 0.2162
O13 0.5099 0.8581 0.7838
O14 0.5219 0.2635 0.9218
O15 0.5350 0.8691 0.4637
O16 0.5874 0.0698 0.1738
O17 0.6672 0.5720 0.3855
O18 0.6763 0.0826 0.6584
O19 0.8106 0.2848 0.1076
O20 0.8191 0.5904 0.0727
O21 0.8903 0.0108 0.4207
O22 0.9272 0.9149 0.0418
O23 0.9633 0.9278 0.7227
O24 0.9760 0.2245 0.6472

Properties
Raw total energy in eV per atom: -12.256
Space-group type: P2_1 (4)
Formation energy without anion corrections in meV per atom: -2731
[Done]
O9 0.4126 0.5698 0.8262
O10 0.4650 0.3691 0.5363
O11 0.4781 0.7635 0.0782
O12 0.4901 0.3581 0.2162
O13 0.5099 0.8581 0.7838
O14 0.5219 0.2635 0.9218
O15 0.5350 0.8691 0.4637
O16 0.5874 0.0698 0.1738
O17 0.6672 0.5720 0.3855
O18 0.6763 0.0826 0.6584
O19 0.8106 0.2848 0.1076
O20 0.8191 0.5904 0.0727
O21 0.8903 0.0108 0.4207
O22 0.9272 0.9149 0.0418
O23 0.9633 0.9278 0.7227
O24 0.9760 0.2245 0.6472

Properties
Raw total energy in eV per atom: -12.256
Space-group type: P2_1 (4)
Formation energy without anion corrections in meV per atom: -2731